As I explain in my charter, FamilySearch releases a lot of information to the public, but only in out of the way corners. That’s where I come in. I try to be in those corners. This past weekend one of those corners happened to be the Salt Lake Family History Expo.
(I told a coworker that attending Ron Tanner’s presentations is the only way a FamilySearch employee can find out what FamilySearch is working on. But I digress…)
Tanner was off his best game—but only a bit. “Two weddings in two weeks,” he explained. Between tales of Jelly Bellies, birthdays, weddings, and the DMV, Tanner was able to slip us some juicy news nuggets that you won’t hear anywhere else.
Crystal structures that have nothing to do with the text =
+++
This record from Alexandria via LeMat-Bulk describes a geometry-optimized LiVCd2O structure. The functional is PBE+U. Values from VASP.

```
&SYSTEM
  ibrav = 0, nat = 5, ntyp = 4
/
ATOMIC_SPECIES
Li 6.94 Li.upf
O 16.00 O.upf
V 50.94 V.upf
Cd 112.41 Cd.upf
ATOMIC_POSITIONS crystal
Li 0.500 0.500 0.500
O 0.000 0.500 0.000
V 0.000 0.000 0.000
Cd 0.500 0.000 0.000
Cd 0.000 0.000 0.500
CELL_PARAMETERS angstrom
5.686 0.000 0.000
0.000 3.634 0.000
0.000 0.000 5.686
```

Results
energy = -16.9 eV per cell
density = 4.2 g cm⁻³
symmetry = P4/mmm
spin magnetization = 0.136 μB per cell
volume = 23.5 A^3/atom

=====

This record from Alexandria via LeMat-Bulk describes a geometry-optimized Li3Cd2WO6 structure. The functional is PBE+U. Values from VASP.

```
&SYSTEM
  ibrav = 0, nat = 12, ntyp = 4
/
ATOMIC_SPECIES
Li 6.94 Li.upf
O 16.00 O.upf
Cd 112.41 Cd.upf
W 183.84 W.upf
ATOMIC_POSITIONS crystal
Li 0.138 0.862 0.500
Li 0.500 0.500 0.500
Li 0.862 0.138 0.500
O 0.226 0.226 0.765
O 0.774 0.774 0.235
O 0.640 0.922 0.758
O 0.078 0.360 0.242
O 0.922 0.640 0.758
O 0.360 0.078 0.242
Cd 0.330 0.670 0.000
Cd 0.670 0.330 0.000
W 0.000 0.000 0.000
CELL_PARAMETERS angstrom
5.682 -0.051 0.028
-2.884 4.896 0.028
-0.909 -1.573 5.045
```

Results
energy = -64.6 eV per cell
density = 6.2 g cm⁻³
symmetry = C2/m
spin magnetization = 1.000 μB per cell
volume = 11.7 A^3/atom

=====

Question: The lowest volume belongs to which entry?
Answer: Li3Cd2WO6

=====

What did the first record say?
This record from Alexandria via LeMat-Bulk describes a geometry-optimized LiVCd2O structure. The functional is PBE+U. Values from VASP.

```
&SYSTEM
  ibrav = 0, nat = 5, ntyp = 4
/
ATOMIC_SPECIES
Li 6.94 Li.upf
O 16.00 O.upf
V 50.94 V.upf
Cd 112.41 Cd.upf
ATOMIC_POSITIONS crystal
Li 0.500 0.500 0.500
O 0.000 0.500 0.000
V 0.000 0.000 0.000
Cd 0.500 0.000 0.000
Cd 0.000 0.000 0.500
CELL_PARAMETERS angstrom
5.686 0.000 0.000
0.000 3.634 0.000
0.000 0.000 5.686
```

Results
energy = -16.9 eV per cell
density = 4.2 g cm⁻³
symmetry = P4/mmm
spin magnetization = 0.136 μB per cell
volume = 23.5 A^3/atom

=====

Question: What is the formula in the first record?
Answer: LiVCd2O

=====

Entry 1:
The following is a DFT calculation (GGA-PBE) of a relaxed Be3Cu6Si crystal.

As for the electronic total energy: -40.144 eV per formula unit. As for the crystal system: monoclinic. The calculation puts the volume at 117.9 Å³/f.u.

a b c (Å): 4.4108 6.1717 4.4108
angles (deg): 82.99 93.67 82.99
Fractional positions:
Be: 0.0000 0.0000 0.0000
Cu: 0.2938 0.6651 0.9190
Cu: 0.6307 0.1192 0.6307
Si: 0.5000 0.5000 0.5000
Cu: 0.3693 0.8808 0.3693
Cu: 0.0810 0.3349 0.7062
Be: 0.7729 0.7425 0.7729
Be: 0.2271 0.2575 0.2271
Cu: 0.9190 0.6651 0.2938
Cu: 0.7062 0.3349 0.0810

***

Entry 2:
The following is a DFT calculation (GGA-PBE) of a relaxed BeCu2Si2 crystal.

As for the electronic total energy: -20.682 eV per formula unit. As for the crystal system: tetragonal. The calculation puts the volume at 66.4 Å³/f.u.
+++
Here’s the new news:
- Records from Record Search are being transferred to the Historical Records area of the FamilySearch Beta. The data transfer, containing 447 collections and 600 million names, should be completed by the end of the month. (We all assumed he meant September.)
- Historical records from the current will be transferred after that.
- All new collections will go directly to the FamilySearch Beta.
- Ancestor discussions were recently added to the new FamilySearch tree. The length of discussions will soon increase from the current limitation of 500 characters.
- The filtering of Historical Records search results will be improved soon, along the lines of Record Search.
- The Family History Library Catalog search on FamilySearch Beta will be dramatically improved by the end of September.
- Disputes can no longer be added to the FamilySearch Tree. Soon, all the disputes on an ancestor will be moved into a discussion called “Legacy Disputes” and deleted from details.
The new FamilySearch Asia rollout is set for a couple of months from now. Tanner showed us a photograph of the rollout map and told us we could see the original by visiting FamilySearch headquarters in the Joseph Smith Memorial Building in Salt Lake City. Ride the elevator to the 4th floor. The map is in the lobby.
- will replace the current website by the end of this year. The new website brings together FamilySearch Beta, RecordSearch Pilot, the Wiki, FamilySearch Indexing, Forums, the Family History Library Catalog, and all other collections and content from the current Specialized websites such as will continue to be separate.
- The general public can begin preparing for access to the new FamilySearch Tree by registering now for an account on the FamilySearch Beta. When the Tree is ready, they will be given access using that same account.
- Some time after this year the new FamilySearch Tree will become “Family Tree” on the new website.
The Ultimate Future
Tanner reiterated his vision for the future of the new FamilySearch Tree. However, changing product managers—generally considered a healthy practice—can change the course of a product. Just three weeks ago product assignments were adjusted, giving Tanner complete responsibility for the Tree.
Tanner admitted that the current design didn’t go far enough from changing “my tree” and “your tree” into “our tree” since it maintains “my conclusion” and “your conclusion.” The many alternatives that exist today under the Details page will be pulled out. In their place, the system will have links to the original sources of the information. These include Ancestral File, Pedigree Resource File, and the other sources used to populate the Tree.
The tree will allow only one conclusion. This will solve the IOUS problem that slows down the system and makes it impossible to merge all copies of a person. “Combine and Separate” will be replaced with “Merge.” I’ve stated before that I don’t think FamilySearch has any corporate memory in product management. It remains to be seen if Tanner can avoid Merge pitfalls.
Tanner’s future direction is to change the Tree so that anyone can correct it. Anyone can contribute to it. Anyone can contribute artifacts to it. Anyone can change the information that you contributed to the Tree—maybe for the better. When someone changes your contribution, you’ll be notified and given the ability to undo the change. Ancestor Discussions will allow contact with others.
Tanner said his pet feature was Community Requests. You can post a request for a volunteer to lookup a record, take a gravestone picture, or translate a language you don’t read.
Most importantly, his stated goal for the Family Tree is that it be so genealogically correct that even the best of genealogists will want to use it.
Tanner was asked what the timeline was for these features. “Before we die or slightly thereafter,” he quipped, artfully avoiding being painted into a corner. Stay tuned…
Occasionally I do a general search on the old FamilySearch site for certain ancestors, just to see if any correct additions have been made there.
ReplyDeleteFor one search I did today there are 7 IGI entries, 1 Ancestral File entry and 2 Pedigree Resource File items.
Record 1
! DyScSn2 PBE optimized geometry; values from VASP
&SYSTEM
  ibrav = 0, nat = 4, ntyp = 3
/
ATOMIC_SPECIES
Sc 44.96 Sc.upf
Sn 118.71 Sn.upf
Dy 162.50 Dy.upf
CELL_PARAMETERS angstrom
-2.698 1.536 -0.990
0.395 4.117 5.311
3.251 5.888 0.277
ATOMIC_POSITIONS angstrom
Sc -0.047 4.343 1.502
Sn 1.885 9.644 4.462
Sn -0.902 1.995 0.190
Dy 0.959 7.102 3.042
! Symmetry: Amm2, No. 38
! Volume (Å³/atom): 29.7
! Total DFT energy (no corrections) (eV per atom): -4.61

=====

Record 2
! DyScZn2Sn2 PBE optimized geometry; values from VASP
&SYSTEM
  ibrav = 0, nat = 12, ntyp = 4
/
ATOMIC_SPECIES
Dy 162.50 Dy.upf
Sc 44.96 Sc.upf
Zn 65.41 Zn.upf
Sn 118.71 Sn.upf
CELL_PARAMETERS angstrom
4.491 0.000 0.000
-2.245 3.889 0.000
0.000 0.000 15.007
ATOMIC_POSITIONS angstrom
Dy 0.000 0.000 3.752
Sc 0.000 0.000 0.000
Zn 2.245 1.296 2.336
Sn 2.245 1.296 13.419
Sn 0.000 2.593 1.589
Sc 0.000 0.000 7.504
Dy 0.000 0.000 11.256
Sn 0.000 2.593 5.915
Zn 0.000 2.593 12.671
Zn 2.245 1.296 5.168
Sn 2.245 1.296 9.093
Zn 0.000 2.593 9.840
! Symmetry: P6_3/mmc, No. 194
! Volume (Å³/atom): 21.8
! Distance to the lowest polymorph of the same formula (meV/atom): 13.1

=====

Record 3
! DyScZn2Sn2 PBE optimized geometry; values from VASP
&SYSTEM
  ibrav = 0, nat = 12, ntyp = 4
/
ATOMIC_SPECIES
Zn 65.41 Zn.upf
Dy 162.50 Dy.upf
Sn 118.71 Sn.upf
Sc 44.96 Sc.upf
CELL_PARAMETERS angstrom
4.453 0.000 0.000
-2.226 3.856 0.000
0.000 0.000 15.312
ATOMIC_POSITIONS angstrom
Zn 2.226 1.285 2.507
Dy 0.000 0.000 7.656
Sn 2.226 1.285 9.442
Sn 0.000 2.571 5.869
Zn 0.000 2.571 12.805
Zn 0.000 2.571 10.163
Sc 0.000 0.000 3.828
Sn 0.000 2.571 1.786
Sc 0.000 0.000 11.484
Sn 2.226 1.285 13.525
Dy 0.000 0.000 0.000
Zn 2.226 1.285 5.149
! Symmetry: P6_3/mmc, No. 194
! Volume (Å³/atom): 21.9
! Distance to the lowest polymorph of the same formula (meV/atom): 0.0

=====

Record 4
! DyScTa PBE optimized geometry; values from VASP
&SYSTEM
  ibrav = 0, nat = 3, ntyp = 3
/
ATOMIC_SPECIES
Sc 44.96 Sc.upf
Dy 162.50 Dy.upf
Ta 180.95 Ta.upf
CELL_PARAMETERS angstrom
-3.664 -0.734 3.070
-1.287 3.478 3.104
-4.176 2.361 -0.610
ATOMIC_POSITIONS angstrom
Sc 0.000 0.000 0.000
Dy -2.282 1.276 1.391
Ta -6.845 3.829 4.173
! Symmetry: F-43m, No. 216
! Volume (Å³/atom): 26.7
! ΔH_f (0 K) (eV/atom): 1.174

=====

Record 5
! DyScTe PBE optimized geometry; values from VASP
&SYSTEM
  ibrav = 0, nat = 3, ntyp = 3
/
ATOMIC_SPECIES
Sc 44.96 Sc.upf
Dy 162.50 Dy.upf
Te 127.60 Te.upf
CELL_PARAMETERS angstrom
0.000 3.470 3.470
3.470 0.000 3.470
3.470 3.470 0.000
ATOMIC_POSITIONS angstrom
Sc 5.205 5.205 5.205
Dy 1.735 1.735 1.735
Te 0.000 0.000 0.000
! Symmetry: F-43m, No. 216
! Volume (Å³/atom): 27.9
! Distance to the lowest polymorph of the same formula (meV/atom): 0.0

=====

Record 6
! DyScTe PBE optimized geometry; values from VASP
&SYSTEM
  ibrav = 0, nat = 3, ntyp = 3
/
ATOMIC_SPECIES
Te 127.60 Te.upf
Dy 162.50 Dy.upf
Sc 44.96 Sc.upf
CELL_PARAMETERS angstrom
-3.248 -2.327 3.137
0.162 0.952 4.987
-3.737 2.642 2.204
The text goes on:
Of the 7 IGI entries one has correct spouse and birthplace; one has right birth year, right State and death date; one has the same as the previous entry plus wrong spouse; one has right birth year, wrong County, wrong parents; one has right birth year, right Township and County.
The Ancestral File entry has 'right' birth date estimated from age at death on gravestone, right death date, wrong place, wrong parents, wrong spouse, wrong marriage place.
The Pedigree Resource File has 2 entries: one with right birth year and State, right death date, wrong spouse. The other is the same as the AF entry except the County of death is at least spelled correctly (still wrong location there).
No amount of merge-tinkering will wind up with correct parents and place of death. A doer of good might choose the correct spouse listed once if the IGI data is in the overall database.
The wrong parents listed did not have a known child by the same name as the above subject, and the wrong spouse is not known to have married a person by the subject's surname, so at least a 'split' function is not required in this instance.
However, there are certainly items in the above databases that merge different persons by more or less the same name.
Thank-you for this post, AI. I've told my DearREADERS this is a MUST READ.
ReplyDeleteDear Geolover,
ReplyDeletePerhaps I mis-communicated. In NFS today Combine mushes together multiple sources.
In the NFS of tomorrow, sources (such as the IGI, AF, and PRF) are extracted and exist independently of the conclusion tree. Sources are associated with conclusions in the tree. But the tree can be "fixed" independent of information in the sources.
Merging is used to "fix" multiple copies of the same person in the tree.
These records of crystals were left in the entry by mistake >
+++
Record 1
Density functional theory data (PBE) for crystalline YTmCo2Ge2 at its relaxed geometry.

Structure (extended XYZ):
```
6
Lattice="-4.106 -0.442 -0.669 2.130 -2.999 1.994 -1.342 3.145 6.162" Properties=species:S:1:pos:R:3 pbc="T T T"
Y 0.000 0.000 0.000
Co -0.922 0.134 5.576
Co -2.396 -0.430 1.912
Tm -0.671 1.573 3.081
Ge -3.018 1.026 4.765
Ge -0.301 -1.322 2.723
```

Output
The formation energy is -612.3 meV per atom. The calculation puts the volume at 106.84 Å³/cell. For the theoretical density, the calculation gives 8.10 g/cm³.

Record 2
Density functional theory data (PBE) for crystalline Ga4Tc at its relaxed geometry.

Structure (extended XYZ):
```
5
Lattice="4.849 0.000 0.000 0.000 4.849 0.000 0.000 0.000 4.849" Properties=species:S:1:pos:R:3 pbc="T T T"
Ga 0.000 2.424 2.424
Ga 0.000 0.000 0.000
Ga 2.424 0.000 2.424
Ga 2.424 2.424 0.000
Tc 2.424 2.424 2.424
```

Output
The formation energy is 142.9 meV per atom. The calculation puts the volume at 114.01 Å³/cell. For the energy above the lowest structure with this stoichiometry, the calculation gives 361 meV/atom. For the theoretical density, the calculation gives 5.49 g/cm³.

Record 3
Density functional theory data (PBE) for crystalline Ga2SnI at its relaxed geometry.

Structure (extended XYZ):
```
4
Lattice="4.209 0.000 0.000 2.105 3.645 0.000 2.105 1.215 7.509" Properties=species:S:1:pos:R:3 pbc="T T T"
Ga 2.105 1.215 1.460
Ga 2.105 1.215 5.975
Sn 6.314 3.645 7.485
I 4.209 2.430 3.854
```

Output
Its raw formation energy is 0.04 eV/atom. The calculation puts the volume at 115.21 Å³/cell. For the energy above the lowest structure with this stoichiometry, the calculation gives 0 meV/atom. For the theoretical density, the calculation gives 5.55 g/cm³.

Record 4
Density functional theory data (PBE) for crystalline Sm7Er4In at its relaxed geometry.

Structure (extended XYZ):
```
12
Lattice="-6.328 0.821 0.646 0.415 -1.125 5.472 -0.264 10.384 5.012" Properties=species:S:1:pos:R:3 pbc="T T T"
Sm -5.132 9.456 8.056
Sm -3.164 0.410 0.323
Sm -2.510 3.797 6.698
Sm -1.045 0.625 3.073
Sm -3.667 6.284 4.431
Sm -0.226 7.380 4.398
Sm -5.951 2.701 6.732
Er -5.527 6.016 7.384
Er -0.651 4.064 3.746
Er -4.043 2.526 3.685
Er -2.135 7.555 7.444
In 0.000 0.000 0.000
```

Output
The formation energy is 37.2 meV per atom. The calculation puts the volume at 394.99 Å³/cell. For the energy above the lowest structure with this stoichiometry, the calculation gives 0 meV/atom. For the theoretical density, the calculation gives 7.72 g/cm³.

Record 5
Density functional theory data (PBE) for crystalline In2BAuS at its relaxed geometry.

Structure (extended XYZ):
```
5
Lattice="-1.130 -0.508 -5.199 -0.155 -4.027 0.427 -5.220 0.317 1.103" Properties=species:S:1:pos:R:3 pbc="T T T"
B -0.077 -2.014 0.213
S -3.252 -2.109 -1.834
In -0.565 -0.254 -2.599
In -2.610 0.159 0.552
Au 0.000 0.000 0.000
```

Output
+++
Keep in mind that in "our tree," "fixed" is determined by the community. It happens like this: You or me applies "your fix" or "my fix." If no one objects, it becomes "our fix." If someone objects, they undo the change and engages the fixer in a discussion. When consensus is reached, someone makes "our fix."
Once a discussion is underway, it is bad form to apply or re-apply "your fix" or "my fix." Doing so can result in temporary suspension.
When consensus can not be reached, the decision goes to an arbitrator who decides "our fix."
I believe that FamilySearch product managers are operating under the assumption that in any disagreement, genealogical practice and standards dictate a best "our fix." I don't believe that. It may be necessary to allow an appeal to a panel of experts who rule by majority vote.
-- The Insider
Dear AI, Thank you for trying to clarify any confusion on my part.
ReplyDeleteI posted the above genealogical mess because I am confident (abstractly, not having access to nFS Tree) that there are several copies of the target person in the Tree, probably all with wrong spouse, wrong parents, wrong marriage place, wrong place of death. Hence merging (which I do understand) will diminish server load but probably not increase truthiness.
This combination for this person is on the web in myriad copies. Only a few copies have succumbed to a decades-long correction campaign and show correct spouse and known parent. Two I have installed give supporting evidence.
My point, perhaps poorly made, is that the fundamental (derivative, secondary and lacking reference to where the assertions are copied from) source materials for the nFS Tree do not give much guidance for accuracy.
I am glad that the correction-of-conclusion process is heading in a more streamlined and rational direction. The Elephant in the Living Room is that countless numbers of rites have been performed based on erroneous genealogical accounts. Consequently there are persons who have an attachment to the mistaken assertions over and above the sheer weight of error-riddled trees on the web and their mistaken sources.
It is to be hoped that a robust correction process will be able to prevent the 'wiki-war' phenomenon.
The one thing I have been waiting for is for the FHL films to be available online. This would simplify my life in so many ways.
ReplyDeleteI, too, don't have much faith in certain IGI records and would be deeply disheartened to see my ancestor's erroneous marriage information carved even deeper into stone. Several people had to come together to correct an IGI perpetuated misstatement of the facts. It would be troubling if this work were ignored.
Why should a "consensus" opinion determine the correct answer to some puzzles?? GIGO still rules!!
ReplyDeleteAll the published info, including that of a HIGHLY respected professional researcher on a particular ancestor of mine assumes that he was remarried to a 2nd wife, back in the old country--
Wrong!!! -- because I am a direct descendant of the couple, I KNOW that the first wife was actually the surviving spouse and I have a copy of her 2nd marriage here in the USA in her old age to show that she did not die decades earlier, as implied in the FHS films, etc...
That is part of the problem of working in highly inbred ethnic groups... the same names/surnames can apply to many different people in closely spaced times and places...
Dear Anti-Consensus,
ReplyDeleteIf you have evidence and can communicate it clearly, then I wouldn't worry until we see how this thing unfolds.
See my Labor Day article for more information about how it will--hopefully--work.
-- The Insider
As hard as it was for me to sort parents, children, spouses and second spouses I will NOT put my tree "out there" for others to edit. There are several wrong versions "out there" right now, in fact they far out number the correct version. Would my tree be overruled by quantity as opposed to quality? I won't take that chance. I don't see this as being a good solution to the ancestor tree. It only lets more people have an opinion whether or not it is fact. I will leave my tree public at and hope that researchers will find it and do their own checking to see if those are their relatives. Examples are a man with his wife's parents as his, a woman married to her son, several children born after the husband's death but carrying his last name, children born when the mother is 3 years old, in a list of children born every 2 years one child is born in a state that the family never lived in the same year as another child that does belong to the family and so on. Too many people just aren't careful. But they will be invited to "correct" my tree? I don't think so!
ReplyDeleteJust look at Wikipedia. One would think, at the outset, that it would be a cesspool of erroneous information. However, the accuracy of Wikipedia speaks volumes about the average internet user's desire and ability to supply valid, accurate information. Although the consensus of a million people doesn't always guarantee that the end result will be free of faulty opinions (politics?), a million "fact checkers" generally supply good facts.